How to clear your WordPress cache with and without plugin
Have you ever visited a website only to give up on it a few moments later because it was taking so long to load? If so, you’ll understand why fast load times create a positive user experience and why load speed is so important when it comes to Google rankings. To achieve fast load times, most site owners use caching.
Crystal structures from another source follow:
-- begin --
# 1
# Ti2GaC GGA-PBE relaxed
data_Ti2GaC
_cell_length_a 5.971
_cell_length_b 5.971
_cell_length_c 5.971
_cell_angle_alpha 90.00
_cell_angle_beta 90.00
_cell_angle_gamma 90.00
_space_group_name_H-M_alt 'F m -3 m'
_space_group_IT_number 225
_space_group_name_Hall '-F 4 2 3'
loop_
_atom_site_label
_atom_site_type_symbol
_atom_site_fract_x
_atom_site_fract_y
_atom_site_fract_z
Ti1 Ti 0.250 0.250 0.250
Ga1 Ga 0.000 0.000 0.000
C1 C 0.000 0.000 0.500
# * energy relative to the elements: 0.51 eV/atom
# * raw total energy: -6.4968 eV/atom
# * density of states at the Fermi level: 20.097 states/eV per cell
# * offset from the most stable computed form: 1272 meV per atom

# 2
# Ag4AsAu GGA-PBE relaxed
data_Ag4AsAu
_cell_length_a 7.730
_cell_length_b 7.730
_cell_length_c 7.730
_cell_angle_alpha 90.00
_cell_angle_beta 90.00
_cell_angle_gamma 90.00
_space_group_name_H-M_alt 'F -4 3 m'
_space_group_IT_number 216
_space_group_name_Hall 'F -4 2 3'
loop_
_atom_site_label
_atom_site_type_symbol
_atom_site_fract_x
_atom_site_fract_y
_atom_site_fract_z
Ag1 Ag 0.125 0.125 0.125
As1 As 0.250 0.250 0.750
Au1 Au 0.000 0.000 0.500
# * energy relative to the elements: 0.28 eV/atom
# * raw total energy: -2.9459 eV/atom
# * density of states at the Fermi level: 4.380 states/eV per cell

# 3
# Na3CeEr2O6 GGA-PBE relaxed
data_Na3CeEr2O6
_cell_length_a 5.993
_cell_length_b 10.386
_cell_length_c 5.941
_cell_angle_alpha 90.00
_cell_angle_beta 109.58
_cell_angle_gamma 90.00
_space_group_name_H-M_alt 'C 1 2/m 1'
_space_group_IT_number 12
_space_group_name_Hall '-C 2y'
loop_
_atom_site_label
_atom_site_type_symbol
_atom_site_fract_x
_atom_site_fract_y
_atom_site_fract_z
Na1 Na 0.000 0.000 0.000
Na2 Na 0.000 0.329 0.000
Ce1 Ce 0.000 0.500 0.500
Er1 Er 0.000 0.166 0.500
O1 O 0.225 0.000 0.712
O2 O 0.243 0.327 0.711
# * energy relative to the elements, uncorrected: -2.74 eV per atom
# * raw total energy: -6.8068 eV/atom
# * density of states at the Fermi level: 1.922 states/eV per cell

# 4
# CaFe2P GGA-PBE relaxed
data_CaFe2P
_cell_length_a 3.877
_cell_length_b 3.877
_cell_length_c 8.500
_cell_angle_alpha 90.00
_cell_angle_beta 90.00
_cell_angle_gamma 90.00
_space_group_name_H-M_alt 'I 4/m m m'
_space_group_IT_number 139
_space_group_name_Hall '-I 4 2'
loop_
_atom_site_label
_atom_site_type_symbol
_atom_site_fract_x
_atom_site_fract_y
_atom_site_fract_z
Ca1 Ca 0.000 0.000 0.000
Fe1 Fe 0.000 0.500 0.250
P1 P 0.000 0.000 0.500
# * energy relative to the elements: 0.23 eV/atom
# * raw total energy: -5.8520 eV/atom
# * density of states at the Fermi level: 7.554 states/eV per cell

# 5
# ScP2Pt GGA-PBE relaxed
data_ScP2Pt
_cell_length_a 2.885
_cell_length_b 4.522
_cell_length_c 5.039
_cell_angle_alpha 90.00
_cell_angle_beta 96.50
_cell_angle_gamma 90.00
_space_group_name_H-M_alt 'P 1 m 1'
_space_group_IT_number 6
_space_group_name_Hall 'P -2y'
loop_
_atom_site_label
_atom_site_type_symbol
_atom_site_fract_x
_atom_site_fract_y
_atom_site_fract_z
Sc1 Sc 0.000 0.000 0.000
-- stop --
End of the crystal structures:
However, simply installing a caching plugin isn’t enough. You also need to remember to clear the WP cache from time to time. Doing so ensures that visitors to your site always see the latest version of each page and reduces the risk of technical problems. Not sure how to clear the WordPress cache? Then keep reading!
Why enable caching on your WordPress website?
If you’ve got your own website, the user experience (UX) is just as important as the actual content. Making your site easy for visitors to browse will encourage them to stay on it for longer and interact with it more, which in turn will have a positive effect on your Google ranking. And good UX design is not just about making your site visually appealing and easy to understand – you also need to make sure it loads quickly.
Whenever somebody visits your website, a number of processes automatically start up in the background whose job it is to ensure the website is displayed correctly. The problem is that all of these background processes (loading and executing JavaScript, reading the CSS file, querying the database) take time. And if they take too long, your visitors may give up waiting, and your Google ranking will drop. Thankfully, there’s a way of speeding things up – caching.
Caching is an important consideration when it comes to making a WordPress website faster, although it’s by no means a catch-all solution. You should also clean up your code and database and reduce the number of plugins that are running. The size of images and videos also has a significant effect on page load speed.
There are a number of different caching plugins for WordPress, all of which basically work in the same way: The plugin saves a static image of each page of your website and shows this to visitors, which significantly reducing the load time.
Why clear the WP cache?
Although using a caching plugin allows your website to load more quickly, there are some disadvantages. For example, when you update components or make changes in the back end or the CSS file, visitors may not see the changes straight away, because the older, cached version will probably be displayed. You should therefore clear the WordPress cache after all changes and updates, as explained below.
- Clear the cache after running WordPress system updates to make sure that all of the updated components are correctly displayed.
In theory you only need to delete the WordPress cache if the updates affect the website appearance. However, it’s often just easier to clear it after every update rather than checking whether or not you really need to.
- It’s also a good idea to do a WordPress cache clear after updating plugins. This will ensure that all of the changes are visible in the front end.
- The same applies to updates to widgets, as these changes often only become visible to site visitors once the cache has been cleared.
If you’re planning to make major changes to your website, we recommend creating a WordPress backup so that you can restore the original version if you run into any problems.
Using a professional WordPress hosting package can improve the response time of your site by up to 50%, which means improving the user experience and boosting your Google ranking.
How to clear the WordPress cache using a plugin: a step-by-step guide
The easiest way of deleting the WordPress cache is to use a caching plugin. The following paragraphs present three popular caching plugins and give step-by-step instructions for clearing the cache.
The process is very similar for all caching plugins, so these steps will most likely work for other plugins too.
How to clear the WordPress cache using W3 Total Cache
W3 Total Cache is a free caching plugin. It has over one million active installs, which just goes to show how popular it is! This plugin provides two easy ways of deleting your WordPress cache:
Option 1 – via the Admin Bar
Option 2 – via the settings
Alternatively, you can clear the WordPress cache from the settings page. To do this, click on “Performance” in the left-hand pane to display the W3 Total Cache dashboard. Now click on the “empty all caches” button. And that’s it!
How to disable caching using W3 Total Cache
Like other caching plugins, W3 Total Cache also lets you temporarily disable caching (you can turn it back on anytime). This can be useful if you’re making lots of changes in a short space of time, because otherwise you’d have to keep deleting the WP cache. To disable caching in W3 Total Cache, open the plugin dashboard by clicking on “Performance” in the left-hand pane. Next, open the “General Settings” section. Here you’ll find a checkbox for enabling/disabling the cache.
How to clear the WordPress cache using WP Super Cache
With more than two million active installs, the WP Super Cache plugin is speeding up a tremendous number of pages on the web! It achieves this by displaying static HTML files to most visitors – pages are only refreshed when somebody signs in or leaves a comment. Here, too, there are two ways of clearing the WordPress cache:
Option 1 – via the Admin Bar
Option 2 – via the settings
You can also clear the cache from the settings page. Open the “Settings” page and locate the section for the WP Super Cache plugin. If you scroll down you’ll see a sub-section entitled “Delete Cached Pages” and a “Delete Cache” button. The button for disabling caching is in the “Caching” sub-section.
How to clear the WordPress cache using WP Fastest Cache
The WP Fastest Cache plugin has more than one million active users. It has a particularly handy function – it automatically clears the cache whenever a new post or page is created. With this plugin you can use short code to disable caching either for all site visitors or for specific devices or groups of users. Here’s how to clear the WordPress cache:
Option 1 – via the Admin Bar
This plugin also adds a button to the WP Admin Bar to make it really easy to clear the WordPress cache manually. Simply click on “Delete Cache” to open the drop-down menu and then select “Clear All Cache.”
Option 2 – via the plugin options
If you’ve installed the WP Fastest Cache plugin, you’ll see that it has its own section in the left-hand menu pane. Open this page to see the plugin settings. In the “Delete Cache” tab you’ll find a button labeled “Clear All Cache” that will delete all of your cached files.
If there are still display issues even after you’ve cleared the WordPress cache, click on the “Delete Cache and Minified CSS/JS” button. This will delete any remaining files.
How to disable caching in WP Fastest Cache
- Create & customize your site with AI tools made for everyone
- 3x faster: SSD, caching & more
- Daily security scans, DDoS protection & 99.98% uptime
How to clear the WordPress cache without using a plugin
You can also disable caching and clear the WordPress cache without using a plugin, although this requires SSH or FTP access. The instructions for both options are given below.
How to disable caching via FTP
If you want to disable caching without using a plugin, you’ll need FTP access to your WordPress files (e.g. via FileZilla. Open the wp-config.php file (usually located in the main WordPress folder) and insert the following line of code:
How to clear the WordPress cache via FTP
To clear the WordPress cache (rather than disabling caching completely), use FTP to access your WordPress files. Go into the “wp-content” folder and open the “cache” folder. Now delete everything from this folder.
Make sure you only delete the contents, not the folder itself.
How to clear the WP cache using SSH
# Data records that have nothing to do with the entry
- - -
{
  "formula": "PmCrAsO6",
  "functional": "PBE+U",
  "state": "relaxed",
  "lattice": [[-2.492, 1.853, 3.694], [-0.659, -4.437, 1.781], [7.955, 0.810, 4.960]],
  "species": ["O", "O", "O", "O", "O", "Pm", "Cr", "As", "Pm", "As", "Cr", "O", "O", "O", "O", "O", "O", "O"],
  "frac_coords": [[0.729, 0.729, 0.353], [0.229, 0.771, 0.853], [0.296, 0.296, 0.970], [0.331, 0.331, 0.676], [0.169, 0.831, 0.176], [0.500, 0.500, 0.170], [0.000, 0.000, 0.002], [0.500, 0.500, 0.831], [0.000, 0.000, 0.670], [0.000, 0.000, 0.331], [0.500, 0.500, 0.502], [0.831, 0.169, 0.176], [0.796, 0.204, 0.470], [0.771, 0.229, 0.853], [0.204, 0.796, 0.470], [0.704, 0.704, 0.970], [0.271, 0.271, 0.353], [0.669, 0.669, 0.676]],
  "energy_ev_per_cell": -125.43,
  "spacegroup": "No. 102"
}

----------

No. 1
{"formula": "BaMg2Tl", "functional": "PBE", "state": "optimized geometry", "space_group": "R-3m", "energy_ev_per_atom": -1.760, "vol_a3_per_cell": 130, "de_polymorph_mev_per_atom": 296.0, "ef_ev_per_fu": 0.440, "lattice_angstrom": [[11.126, 0.235, 0.139], [10.432, 3.873, 0.139], [10.432, 1.988, 3.327]], "species": ["Ba", "Mg", "Mg", "Tl"], "frac_coords": [[0.750, 0.750, 0.750], [0.989, 0.989, 0.989], [0.511, 0.511, 0.511], [0.250, 0.250, 0.250]]}


No. 2
{"formula": "TcPt2Br", "functional": "PBE", "state": "optimized geometry", "space_group": "R-3m", "energy_ev_per_atom": -5.698, "raw_formation_energy_ev_per_atom": 0.33, "vol_a3_per_cell": 69, "de_polymorph_mev_per_atom": 122.1, "lattice_angstrom": [[-5.654, 7.580, -1.613], [-6.888, 6.625, 0.830], [-4.580, 8.374, 0.960]], "species": ["Br", "Tc", "Pt", "Pt"], "frac_coords": [[0.750, 0.750, 0.750], [0.250, 0.250, 0.250], [0.991, 0.991, 0.991], [0.509, 0.509, 0.509]]}


No. 3
{"formula": "NaTbS2", "functional": "PBE", "state": "optimized geometry", "space_group": "R-3m", "energy_ev_per_atom": -5.397, "raw_formation_energy_ev_per_atom": -1.85, "vol_a3_per_cell": 93, "lattice_angstrom": [[4.004, 0.000, 0.000], [2.002, 3.468, 0.000], [2.002, 1.156, 6.681]], "species": ["Na", "S", "S", "Tb"], "frac_coords": [[0.500, 0.500, 0.500], [0.257, 0.257, 0.228], [0.743, 0.743, 0.772], [0.000, 0.000, 0.000]]}


No. 4
{"formula": "Co5Rh", "functional": "PBE", "state": "optimized geometry", "space_group": "F-43m", "energy_ev_per_atom": -7.028, "vol_a3_per_cell": 71, "ef_ev_per_fu": 0.714, "lattice_angstrom": [[0.000, 3.290, 3.290], [3.290, 0.000, 3.290], [3.290, 3.290, 0.000]], "species": ["Co", "Co", "Co", "Co", "Co", "Rh"], "frac_coords": [[0.874, 0.375, 0.375], [0.750, 0.750, 0.750], [0.375, 0.874, 0.375], [0.375, 0.375, 0.375], [0.375, 0.375, 0.874], [0.000, 0.000, 0.000]]}


No. 5
- - -
If your hosting provider has enabled SSH (Secure Shell) access, there’s another way you can clear the WP cache. Simply insert the following command: